Emergency preparedness for Homeowners Associations

Emergency preparedness for Homeowners Associations

An emergency can happen at any moment. The problem is (outside of the crisis itself) planning for the various types of emergencies. No one could have foreseen spending the majority of 2020 combating the spread of COVID-19. While there is crossover in what’s required to prepare for emergencies, there’s no such thing as a one-size-fits-all response. Micro-emergencies can affect just one or a minimal number of properties or residencies – a broken pipe, a fire at an individual residence, a storm that knocks out power, a gas leak, for example. Then there are macro-emergencies that can negatively affect whole communities and neighborhoods – a flood, tornado, pandemic, riot, wildfire, or earthquake. Regardless of the emergency’s size and scope, it’s up to the HOA and the property management team to maintain an updated action and response plan that considers the many “what-ifs” to ensure the safety of residents. 


Start planning and preparing for an emergency.

The Emergency Response Plan needs to cover a range of short and long-term issues and lays out the board, management company, community employees, and residents’ guidelines. Questions surrounding the direction of HOA funds specific to handling broad financial and approval processes, such as special emergency assessments and reserve fund borrowing, need to be addressed. The main lesson taken from living through the COVID-19 pandemic is the importance of having a cohesive plan in place that accounts for a range of circumstances so the response can be swift and meaningful.

Ten questions for the HOA to consider when preparing for an emergency:

  1. What is expected from the board, the management company, and the community manager?
  2. What resources are available for communities to help prepare for an emergency, respond to it, and aid with any recovery?
  3. What are the response procedures, and when will they be put into action?
  4. What are the communication protocols (with and without power) for a short or extended emergency?
  5. If an evacuation is required, what will be the evacuation route?
  6. How will we handle residents who need special assistance?
  7. How will emergency supplies be dispersed?
  8. Where is the safest place for residents to congregate?
  9. What safety equipment do we need, and what is already in use?
  10. What services, such as trash collection and security, will continue, and for how long?


There’s much ground to cover, but taking a holistic approach that focuses on residents’ safety and community protection will undoubtedly be one that works. Even though this is truly a team effort, one person needs to oversee and direct the team members. The HOA, property management team, community manager and staff, and trusted vendors will be all hands on deck. Having input and agreement from all parties involved during the planning phase will lead to an appropriate response plan.

The plan will vary depending on the type of community. For instance, a highrise building will differ significantly from planned developments. You should also consider the location and natural landscape and the residents’ demographics (age and capabilities). Ultimately, the earlier the emergency preparedness begins, the greater chance it will mitigate damage and protect the residents.

Create detailed emergency checklists

Because of the scope required in creating a thorough emergency response plan, it’s good to have multiple checklists outlining and defining the various procedures. Breaking them down into three categories can help you quickly navigate.

What the HOA must do in preparation for an emergency:
  • Plan out the responsibilities for each community employee during various emergency types.
  • Make digital copies of any important documents and store them in a file-sharing cloud service. Keep originals in a fire-proof case.
  • Ensure there is a current site plan with shut-off valve locations for water and gas and back-up generators’ location.
  • Mark all emergency exits and fire-safe stairwells. Depending on how large the property is, diagrams may need to be hung in some areas.
  • Have maps showing the location of strategically placed fire hydrants and extinguishers with instructions on how to use them.
  • Agree on where the best place is for an off-site office if needed.
  • Designate a location where you can place the debris during any cleanup efforts.


What to have on hand in preparation for an emergency:
  • A large enough space to store all emergency essentials, including:
    • First aid kits, safety equipment, flashlights, flares, ladders, extension cords, ropes, canned goods, cleaning supplies, headlamps, duct tape, and a battery-powered radio.
  • Walkie-talkies that are battery-powered in case cell service is not available.
  • A script for the association’s voicemail with instructions for residents.
  • A list of animal shelters ready where residents can temporarily keep their pets if they cannot access their home.
  • Up-to-date photos of any common areas for insurance purposes.
  • An updated list of contact numbers for all residents. Assuming cell service is available, a mobile phone app may be ideal for communicating.

[Records of molecules from another source follow]
{"formula": "C5H7NO", "method": "wB97M-V/def2-TZVPD", "species": ["N", "C", "O", "C", "C", "C", "C", "H", "H", "H", "H", "H", "H", "H"], "xyz": [[-1.48162, -0.16140, -1.95952], [-0.66393, 0.34868, -0.98607], [0.20987, 1.18471, -1.22866], [0.94080, -0.65670, -0.31709], [1.48325, 0.08076, 0.88573], [0.10088, 0.38561, 1.48052], [-0.50443, -0.38305, 0.29483], [-1.12897, 0.04479, -2.88545], [-1.66279, -1.14830, -1.86087], [2.21502, 0.87523, 0.72680], [1.98654, -0.75323, 1.39932], [-0.18090, 1.43714, 1.53263], [-0.08707, -0.07582, 2.45599], [-1.22665, -1.17843, 0.46182]], "forces_ev_per_a": [[0.212, -0.020, 0.033], [0.382, -0.062, -0.165], [-0.477, 0.535, -0.087], [0.351, -0.513, 0.343], [0.083, -0.004, -0.075], [-0.071, 0.125, 0.031], [-0.182, -0.123, 0.043], [-0.051, 0.178, 0.017], [-0.316, -0.025, 0.169], [-0.084, -0.146, -0.017], [0.027, 0.103, 0.149], [0.049, -0.039, -0.055], [-0.014, 0.061, -0.247], [0.092, -0.071, -0.138]], "lumo_energy_ev": 0.672, "orbital_gap_ev": 9.243, "energy_ev": -8831.720, "max_force_ev_per_a": 0.72, "spin_multiplicity": 1, "homo_energy_ev": -8.571}


What to share with residents of the community:
  • A repair and reinstatement list, so people know what will be in working order first.
  • A mobile app for staying connected and to provide updates (if the community uses one)
  • The safest place to meet in the community, depending on the emergency
  • An emergency contact list for local police and fire departments, and how to contact the property managers during off-hours
  • Evacuation routes and/or exits (will vary depending on the community)
  • Basic instructions for more “likely” emergencies, such as not using elevators and closing doors if there’s a fire or standing under doorways during an earthquake
  • Window decals to indicate whether a resident has pets, what kind, and how many


Make sure to consider residents with disabilities and the elderly as they will almost certainly need extra assistance. Things often change, so set a schedule to review regularly.

Getting the word out to residents

Please make sure all residents are aware of the emergency response plan and have easy access to it. Have the information available in different places and different formats (paper/electronic). Alerting residents using a phone app geared towards communities, posting information in commonplaces, including it in newsletters, and adding it to a board meeting agenda are all excellent ways to keep emergency preparation front and center. New residents should also receive emergency-related documentation upon move-in, along with a quick overview from a member of the community team.

How residents can plan

Encourage residents of the community to have their plans and supplies to counter an emergency and keep their households safe. Having an emergency preparedness kit in the home and knowing how to utilize everything can make a big difference. This site has all the information residents would need to prepare appropriately.

Cover all the basis

Consulting and doing walk-throughs with experts like engineers, landscapers, and other vendors familiar with the community will help keep tabs on any potential trouble areas. Also, collecting advice and resources from local insurance agencies, police and fire departments, and the Red Cross will help formulate a complete plan and make sure no stone is left unturned.

Insurance is something that needs to be addressed too. A disaster can cause significant damage; property damage, loss of income, and, in worst cases, the loss of lives. Be sure that your association has the appropriate amount­­–and type–of coverage to protect against natural disasters that are common in your area, and even those that are rare. Your property management company can help coordinate an insurance review to ensure that your coverage limits provide the level of protection needed.

Lean on your dedicated property management team

The property management team plays a vital role in developing and carrying out an emergency plan. Working with an experienced team to provide the “boots on the ground” response the community needs will make the difference. The property manager may often choose to organize expert-led meetings and/or training sessions that provide CPR, safety training, and evacuation plan development. These programs can save time and lives in the event of an emergency.

The property management company will be a great source of support after an emergency befalls a community too. There will be plenty of important tasks to complete, such as securing insurance disbursements and coordinating vendors for cleanup of property damage. The right property management company will communicate what responsibilities they are covering and help HOAs create an operating budget with an adequate emergency fund that covers all emergency-related expenses.

What to do after an emergency happens

Remember to keep reviewing and updating the emergency plan at a minimum once per year. When the plan changes, make sure residents are notified of the revised plan. Regardless of whether the plan changes, sending out a reminder once per year through a newsletter helps make sure residents are aware and knowledgeable.

The worst position any HOA can find themselves in is lost in confusion and fear as they see things unraveling across their community. The response can only be as good as (what was) prepared by a dedicated and cooperative property management team. Remember, it does take a team; homeowners, the board, vendors, and property managers all must work closely together, communicate openly, and stay on the same page. After all, during an emergency (and we are living during a noteworthy example), people’s lives are impacted when the right planning doesn’t happen.

For more information, please feel free to contact us today.